_Brief_
What is needed: transcribe the calculation results underneath character by character.

_Input_
Pr3Ho8Th: simulated X-ray powder pattern (Cu Kα (λ = 1.5418 Å)), based on a crystal structure in Alexandria, relaxed with GGA-PBE.

Top 10 peaks for 5° ≤ 2θ ≤ 70°, sorted by position:
- 15.82°, I 15
- 30.94°, I 11
- 31.31°, I 100
- 32.02°, I 43
- 34.79°, I 14
- 35.71°, I 33
- 45.37°, I 12
- 51.50°, I 16
- 55.71°, I 26
- 65.31°, I 22

Structural model:
a b c (Å): 8.7321 8.7321 8.7321
angles (deg): 136.99 98.35 97.10
Positions (direct):
Pr1 0.0000 0.0000 0.0000
Pr2 0.2603 0.5000 0.7603
Pr3 0.7397 0.5000 0.2397
Ho1 0.0797 0.8279 0.2518
Ho2 0.2505 0.5019 0.2514
Ho3 0.2505 0.9991 0.7486
Ho4 0.4240 0.1721 0.2518
Ho5 0.5760 0.8279 0.7482
Ho6 0.7495 0.0009 0.2514
Ho7 0.7495 0.4981 0.7486
Ho8 0.9203 0.1721 0.7482
Th1 0.5000 0.0000 0.5000

* * * * *

This entry pairs a crystal structure of NdBMoO6 with its theoretical X-ray diffraction stick pattern. Radiation: copper Kα. Structure: a crystal structure in Alexandria, relaxed with PBE+U.

Most intense lines, 2θ = 15–90°, in order of rising 2θ:
2θ = 19.2°, rel. 45; 2θ = 25.8°, rel. 94; 2θ = 26.0°, rel. 100; 2θ = 26.9°, rel. 55; 2θ = 28.7°, rel. 62; 2θ = 30.2°, rel. 49; 2θ = 30.8°, rel. 37; 2θ = 31.1°, rel. 31; 2θ = 43.9°, rel. 45; 2θ = 44.8°, rel. 50

Structure:
Cell lengths 10.383, 4.222, 12.065 Å; angles 90.00, 117.31, 90.00 degrees
Fractional positions:
Nd1 0.195 0.180 0.033
Nd2 0.195 0.320 0.533
Nd3 0.805 0.680 0.467
Nd4 0.805 0.820 0.967
B1 0.002 0.677 0.808
B2 0.002 0.823 0.308
B3 0.998 0.177 0.692
B4 0.998 0.323 0.192
Mo1 0.354 0.726 0.813
Mo2 0.354 0.774 0.313
Mo3 0.646 0.226 0.687
Mo4 0.646 0.274 0.187
O1 0.001 0.214 0.089
O2 0.001 0.286 0.589
O3 0.032 0.147 0.302
O4 0.032 0.353 0.802
O5 0.259 0.686 0.143
O6 0.259 0.814 0.643
O7 0.260 0.688 0.404
O8 0.260 0.812 0.904
O9 0.336 0.195 0.293
O10 0.336 0.305 0.793
O11 0.456 0.206 0.106
O12 0.456 0.294 0.606
O13 0.544 0.706 0.394
O14 0.544 0.794 0.894
O15 0.664 0.695 0.207
O16 0.664 0.805 0.707
O17 0.740 0.188 0.096
O18 0.740 0.312 0.596
O19 0.741 0.186 0.357
O20 0.741 0.314 0.857
O21 0.968 0.647 0.198
O22 0.968 0.853 0.698
O23 0.999 0.714 0.411
O24 0.999 0.786 0.911

* * * * *

# Pt13Au2
Computed XRD peak list, Cu Kα. Input: DFT lattice parameters and positions (GGA-PBE).
Peak positions follow from Bragg's law for the DFT cell and can differ from measured ones.

Largest 10 diffraction maxima, by angle, 2θ from 10° to 90°:
- 2θ 30.80, rel. 23
- 2θ 38.37, rel. 53
- 2θ 38.75, rel. 51
- 2θ 39.12, rel. 100
- 2θ 39.65, rel. 22
- 2θ 40.13, rel. 20
- 2θ 50.72, rel. 20
- 2θ 51.52, rel. 20
- 2θ 54.47, rel. 54
- 2θ 77.45, rel. 31

Unit cell a=7.0948 b=7.0948 c=17.7684 alpha=90.00 beta=90.00 gamma=120.00
Space group R-3m (No. 166, hexagonal axes)
Unique sites:
Pt 0.0000 0.0000 0.0000 (multiplicity 3)
Pt 0.0790 0.5395 0.3814 (multiplicity 18)
Pt 0.0802 0.5401 0.2303 (multiplicity 18)
Au 0.0000 0.0000 0.1589 (multiplicity 6)

* * * * *

Entry 1:
For Ac2In6IrRu, DFT lattice parameters and positions (PBE) gives the simulated powder diffraction line list in this record (Cu Kα, 1.54184 Å).

Principal peaks in the range 15° ≤ 2θ ≤ 90°, low angle first:
2theta, I_rel
24.32, 39
29.79, 35
29.99, 34
34.65, 100
49.83, 47
83.56, 16

Atomic structure:
abc: 7.318 7.318 7.290
angles: 119.82 119.82 89.97
Fractional coordinates of all 10 atoms:
1 Ac 0.250 0.750 0.000
2 Ac 0.750 0.250 0.000
3 In 0.249 0.249 0.500
4 In 0.249 0.249 0.998
5 In 0.249 0.751 0.500
6 In 0.751 0.249 0.500
7 In 0.751 0.751 0.002
8 In 0.751 0.751 0.500
9 Ir 0.500 0.500 0.500
10 Ru 0.000 0.000 0.500

=====

Entry 2:
For AcZnInIr2, DFT lattice parameters and positions (PBE) gives the simulated powder diffraction line list in this record (Cu Kα, 1.54184 Å).

Principal peaks in the range 15° ≤ 2θ ≤ 90°, low angle first:
2theta, I_rel
31.24, 21
33.65, 100
41.73, 24
42.74, 21
42.92, 21
44.43, 22

Atomic structure:
abc: 6.725 6.725 6.725
angles: 144.70 142.44 52.49
Fractional coordinates of all 5 atoms:
1 Ac 0.000 0.000 0.000
2 Zn 0.629 0.629 0.000
3 In 0.263 0.763 0.500
4 Ir 0.416 0.416 0.000

_Written answer_
Pr3Ho8Th: simulated X-ray powder pattern (Cu Kα (λ = 1.5418 Å)), based on a crystal structure in Alexandria, relaxed with GGA-PBE.

Top 10 peaks for 5° ≤ 2θ ≤ 70°, sorted by position:
- 15.82°, I 15
- 30.94°, I 11
- 31.31°, I 100
- 32.02°, I 43
- 34.79°, I 14
- 35.71°, I 33
- 45.37°, I 12
- 51.50°, I 16
- 55.71°, I 26
- 65.31°, I 22

Structural model:
a b c (Å): 8.7321 8.7321 8.7321
angles (deg): 136.99 98.35 97.10
Positions (direct):
Pr1 0.0000 0.0000 0.0000
Pr2 0.2603 0.5000 0.7603
Pr3 0.7397 0.5000 0.2397
Ho1 0.0797 0.8279 0.2518
Ho2 0.2505 0.5019 0.2514
Ho3 0.2505 0.9991 0.7486
Ho4 0.4240 0.1721 0.2518
Ho5 0.5760 0.8279 0.7482
Ho6 0.7495 0.0009 0.2514
Ho7 0.7495 0.4981 0.7486
Ho8 0.9203 0.1721 0.7482
Th1 0.5000 0.0000 0.5000

* * * * *

This entry pairs a crystal structure of NdBMoO6 with its theoretical X-ray diffraction stick pattern. Radiation: copper Kα. Structure: a crystal structure in Alexandria, relaxed with PBE+U.

Most intense lines, 2θ = 15–90°, in order of rising 2θ:
2θ = 19.2°, rel. 45; 2θ = 25.8°, rel. 94; 2θ = 26.0°, rel. 100; 2θ = 26.9°, rel. 55; 2θ = 28.7°, rel. 62; 2θ = 30.2°, rel. 49; 2θ = 30.8°, rel. 37; 2θ = 31.1°, rel. 31; 2θ = 43.9°, rel. 45; 2θ = 44.8°, rel. 50

Structure:
Cell lengths 10.383, 4.222, 12.065 Å; angles 90.00, 117.31, 90.00 degrees
Fractional positions:
Nd1 0.195 0.180 0.033
Nd2 0.195 0.320 0.533
Nd3 0.805 0.680 0.467
Nd4 0.805 0.820 0.967
B1 0.002 0.677 0.808
B2 0.002 0.823 0.308
B3 0.998 0.177 0.692
B4 0.998 0.323 0.192
Mo1 0.354 0.726 0.813
Mo2 0.354 0.774 0.313
Mo3 0.646 0.226 0.687
Mo4 0.646 0.274 0.187
O1 0.001 0.214 0.089
O2 0.001 0.286 0.589
O3 0.032 0.147 0.302
O4 0.032 0.353 0.802
O5 0.259 0.686 0.143
O6 0.259 0.814 0.643
O7 0.260 0.688 0.404
O8 0.260 0.812 0.904
O9 0.336 0.195 0.293
O10 0.336 0.305 0.793
O11 0.456 0.206 0.106
O12 0.456 0.294 0.606
O13 0.544 0.706 0.394
O14 0.544 0.794 0.894
O15 0.664 0.695 0.207
O16 0.664 0.805 0.707
O17 0.740 0.188 0.096
O18 0.740 0.312 0.596
O19 0.741 0.186 0.357
O20 0.741 0.314 0.857
O21 0.968 0.647 0.198
O22 0.968 0.853 0.698
O23 0.999 0.714 0.411
O24 0.999 0.786 0.911

* * * * *

# Pt13Au2
Computed XRD peak list, Cu Kα. Input: DFT lattice parameters and positions (GGA-PBE).
Peak positions follow from Bragg's law for the DFT cell and can differ from measured ones.

Largest 10 diffraction maxima, by angle, 2θ from 10° to 90°:
- 2θ 30.80, rel. 23
- 2θ 38.37, rel. 53
- 2θ 38.75, rel. 51
- 2θ 39.12, rel. 100
- 2θ 39.65, rel. 22
- 2θ 40.13, rel. 20
- 2θ 50.72, rel. 20
- 2θ 51.52, rel. 20
- 2θ 54.47, rel. 54
- 2θ 77.45, rel. 31

Unit cell a=7.0948 b=7.0948 c=17.7684 alpha=90.00 beta=90.00 gamma=120.00
Space group R-3m (No. 166, hexagonal axes)
Unique sites:
Pt 0.0000 0.0000 0.0000 (multiplicity 3)
Pt 0.0790 0.5395 0.3814 (multiplicity 18)
Pt 0.0802 0.5401 0.2303 (multiplicity 18)
Au 0.0000 0.0000 0.1589 (multiplicity 6)

* * * * *

Entry 1:
For Ac2In6IrRu, DFT lattice parameters and positions (PBE) gives the simulated powder diffraction line list in this record (Cu Kα, 1.54184 Å).

Principal peaks in the range 15° ≤ 2θ ≤ 90°, low angle first:
2theta, I_rel
24.32, 39
29.79, 35
29.99, 34
34.65, 100
49.83, 47
83.56, 16

Atomic structure:
abc: 7.318 7.318 7.290
angles: 119.82 119.82 89.97
Fractional coordinates of all 10 atoms:
1 Ac 0.250 0.750 0.000
2 Ac 0.750 0.250 0.000
3 In 0.249 0.249 0.500
4 In 0.249 0.249 0.998
5 In 0.249 0.751 0.500
6 In 0.751 0.249 0.500
7 In 0.751 0.751 0.002
8 In 0.751 0.751 0.500
9 Ir 0.500 0.500 0.500
10 Ru 0.000 0.000 0.500

=====

Entry 2:
For AcZnInIr2, DFT lattice parameters and positions (PBE) gives the simulated powder diffraction line list in this record (Cu Kα, 1.54184 Å).

Principal peaks in the range 15° ≤ 2θ ≤ 90°, low angle first:
2theta, I_rel
31.24, 21
33.65, 100
41.73, 24
42.74, 21
42.92, 21
44.43, 22

Atomic structure:
abc: 6.725 6.725 6.725
angles: 144.70 142.44 52.49
Fractional coordinates of all 5 atoms:
1 Ac 0.000 0.000 0.000
2 Zn 0.629 0.629 0.000
3 In 0.263 0.763 0.500
4 Ir 0.416 0.416 0.000